### Excerpt
- - -
1.
The following is a DFT calculation (ωB97M-V with the def2-TZVPD basis set) of a cluster of 5 separate species, C15H17Br3N4O8 in total at a distorted geometry.

Values from the calculation:
**Max |F|**: 3.821 eV Å⁻¹
**Relative energy (zero: lowest compared OMol25 entry of this formula, charge and spin)**: 0.0 kcal per mole
**2S+1**: 1
**SMILES**: O=[N+]([O-])c1ccccc1.O=[N+]([O-])c1ccccc1.C[N+](=O)[O-].C[N+](=O)[O-].BrC(Br)Br
**Electronic energy**: -248285.7194 eV

Structure (XYZ):
```
47
C15H17Br3N4O8 (ωB97M-V with the def2-TZVPD basis set)
C -2.595 5.034 0.594
N -1.772 3.954 -0.033
O -1.002 4.203 -0.881
O -1.971 2.792 0.308
H -2.691 5.907 -0.051
H -2.130 5.314 1.540
H -3.519 4.571 0.941
C -1.171 0.413 -1.958
N -0.246 -0.521 -1.316
O -0.330 -1.724 -1.487
O 0.553 0.027 -0.572
H -2.077 0.199 -1.391
H -1.347 0.194 -3.011
H -0.839 1.444 -1.840
C 2.525 3.990 1.685
C 1.938 2.865 1.174
C 0.798 2.339 1.770
C 0.202 2.986 2.854
C 0.799 4.211 3.313
C 1.907 4.710 2.731
N -1.111 2.542 3.468
O -1.641 1.523 3.037
O -1.556 3.052 4.511
H 3.444 4.447 1.349
H 2.420 2.312 0.381
H 0.340 1.483 1.296
H 0.353 4.637 4.200
H 2.376 5.598 3.130
C -0.414 -5.549 -0.027
C -0.730 -6.889 0.208
C 0.224 -7.809 -0.030
C 1.489 -7.387 -0.508
C 1.792 -6.057 -0.759
C 0.803 -5.071 -0.500
N 2.598 -8.384 -0.628
O 2.273 -9.621 -0.666
O 3.731 -7.920 -0.803
H -1.192 -4.818 0.134
H -1.665 -7.177 0.665
H 0.073 -8.840 0.256
H 2.682 -5.706 -1.259
H 0.946 -4.000 -0.503
C -0.905 3.407 -4.160
Br 0.789 2.406 -3.748
Br -2.254 2.142 -4.929
Br -0.632 5.059 -5.308
H -1.267 3.713 -3.179
```

Results of the natural (NBO) charge analysis, in e, for atoms 1 through 5:
1 C -0.5009
2 N 0.5466
3 O -0.3752
4 O -0.3966
5 H 0.2402

2.
The following is a DFT calculation (ωB97M-V with the def2-TZVPD basis set) of an isolated molecule of C15H17Cl2IN4O at a distorted geometry.

Values from the calculation:
**Max |F|**: 5.219 eV Å⁻¹
**Relative energy (zero: lowest compared OMol25 entry of this formula, charge and spin)**: 49.9 kcal per mole
**2S+1**: 1
**SMILES**: NC[C@H]1CC[C@@H](n2c(I)c(Cl)c3c(Cl)cc(C(N)=O)nc32)CC1
**Electronic energy**: -56982.2841 eV

Structure (XYZ):
```
40
C15H17Cl2IN4O (ωB97M-V with the def2-TZVPD basis set)
O -1.517 5.648 -0.210
Cl -5.280 -1.016 -1.180
Cl -5.656 2.129 -0.773
I -2.813 -3.576 -0.669
N -1.324 2.101 0.151
C -1.196 4.589 0.369
C -3.607 -0.429 -0.809
C -2.510 -1.273 -0.727
C -1.949 3.288 0.117
C -1.995 0.959 -0.152
C -3.354 3.374 -0.188
C -4.022 2.202 -0.436
C -3.263 0.994 -0.511
N 0.014 4.760 0.996
N 4.387 -1.802 1.507
N -1.536 -0.428 -0.237
C 4.032 -1.887 0.129
C 0.405 -1.218 -1.429
C 0.101 -1.902 0.904
C 1.900 -1.655 -1.371
C 1.633 -2.071 1.131
C -0.150 -0.800 -0.076
C 2.502 -1.430 0.008
H -3.992 4.361 -0.154
H 0.540 3.991 1.331
H 0.485 5.679 0.972
H 5.190 -2.372 1.702
H 3.639 -2.145 2.092
H 3.951 -2.899 -0.271
H 4.745 -1.271 -0.566
H 0.260 -0.400 -2.217
H -0.150 -2.076 -1.826
H -0.376 -1.713 1.943
H -0.271 -2.835 0.656
H 2.403 -1.036 -2.122
H 1.970 -2.659 -1.728
H 1.933 -1.854 2.177
H 1.915 -3.111 1.071
H 0.353 0.126 0.303
H 2.603 -0.345 0.091
```

Results of the natural (NBO) charge analysis, in e, for atoms 1 through 5:
1 O -0.6095
2 Cl -0.0202
3 Cl 0.0929
4 I 0.1890
5 N -0.4252

3.
The following is a DFT calculation (ωB97M-V with the def2-TZVPD basis set) of a cluster of 2 separate species, C15H17F2N2O2P in total at a distorted geometry.

Values from the calculation:
**Max |F|**: 3.760 eV Å⁻¹
**2S+1**: 1
**Electronic energy**: -37624.6784 eV

Structure (XYZ):
```
39
C15H17F2N2O2P (ωB97M-V with the def2-TZVPD basis set)
C 3.068 1.730 1.482
C 2.789 0.583 1.223
C 2.546 -0.856 0.809
C 1.249 -1.378 1.444
N 0.164 -1.771 0.786
C -0.109 -1.861 -0.657
C -0.676 -0.521 -1.272
C 0.348 0.642 -1.094
C -0.142 2.006 -1.597
C -0.302 3.054 -0.645
C -0.704 4.362 -0.973
C -0.967 4.674 -2.330
C -0.828 3.643 -3.282
C -0.419 2.325 -2.949
C -0.739 -2.149 1.788
P -2.469 -2.861 1.699
O -2.412 -4.120 2.823
O -2.653 -3.603 0.289
C -0.174 -1.924 3.037
N 1.104 -1.446 2.769
- - -

### Exercise
Now set down the lines above from the one with "1.685" to the one with "-0.027" without additions.

### Reply
C 2.525 3.990 1.685
C 1.938 2.865 1.174
C 0.798 2.339 1.770
C 0.202 2.986 2.854
C 0.799 4.211 3.313
C 1.907 4.710 2.731
N -1.111 2.542 3.468
O -1.641 1.523 3.037
O -1.556 3.052 4.511
H 3.444 4.447 1.349
H 2.420 2.312 0.381
H 0.340 1.483 1.296
H 0.353 4.637 4.200
H 2.376 5.598 3.130
C -0.414 -5.549 -0.027